Using the CGA/EGA/VGA planar graphics modes

I have trouble to grasp how to use colors in CGA/EGA/VGA video graphics modes. The video modes I'm particularly interested in are 0Dh (EGA 320x200) and 12h (VGA 640x480). Both of these modes have 4 planes, thus 16 colors.

My (probably incorrect) understanding is that I should activate a set of planes by writing a bitmask to port 03C4h, then when I write to video memory, the data only gets written to the activated planes. Mostly I used this document to get my information, though I also encountered several other tutorials and discussions:

Now I'm trying to write pixels in all possible colors in the first word in the video memory (top left part of screen). I load 1 for the initial bitmask to AH and 1 bit to BX. Then in a loop, I increment AH and shift (SHL) the bit in BX to hit a different pixel next time. I OR BX to A000h:0000h to add each pixels by leaving the already existing pixels untouched.

What I'm expected to see is a line of pixels in all possible 16 EGA colors on the top left of the screen. What I actually see is 7 white and 1 bright yellow dots with black pixels in between them. What am I doing wrong?

Also, every tutorial says that I must write 0005h to port 03CEh before I start to use planes. What is the purpose of that? When I comment those lines out, I can still use planes (I mean, in other programs). Previously I had success using planes when I was writing to different words in video memory (so I didn't need different color pixels in one block of 16 pixels that's represented by a single word in video memory); and when I used BIOS functions (e.g. INT 10h/AH=0Ch) to write pixels, but still I want to understand how to use planar graphics without BIOS, as I believe the BIOS functions are slow.

Here is my code (indentation is optimized for 8-width tabs, so it kind of looks off here):

; ----------------------------------------------------------------------
; nasm -o plane.asm
; ----------------------------------------------------------------------

        ORG 100h            ; Code starts at CS:0100h

        MOV AX, 0F00h       ; Get current video mode
        INT 10h
        PUSH    AX          ; Save it to restore later

        MOV AX, 000Dh       ; Set video mode 0Dh (EGA 320x200, 16 color)
        INT 10h

        MOV DX, 03CEh       ; Set up for plane masking
        MOV AX, 0005h
        OUT DX, AX

        MOV AX, 0A000h      ; Load video segment to ES
        MOV ES, AX          ; and set Destination Index
        XOR DI, DI          ; to write data to A000h:0000h

        MOV CX, 14          ; Iterate through all plane masks
        MOV AX, 0100h       ; First plane mask is 01h
        MOV BX, 1           ; Initial pixel to write
        CALL    SET_PLANES      ; Set planes according to AH
        PUSH    BX          ; Save current pixels to [DATA+CX*2]
        MOV BX, CX          ; for debugging purposes
        SHL BX, 1
        MOV DX, ES:[DI]
        MOV [DATA + BX], DX
        POP BX
        OR  ES:[DI], BX     ; Add new pixel to video memory from BX
        SHL BX, 1           ; Shift BX so we'll activate a different pixel next time
        INC AH          ; Increment plane mask
        LOOP    LOOP_PIXEL

        XOR AX, AX          ; Wait for keypress
        INT 16h

        POP AX          ; Restore previous video mode
        XOR AH, AH
        INT 10h

        INT 20h         ; Exit program

; ----------------------------------------------------------------------
; SET_PLANES: Set video color plane mask.
; Inputs:
;   AH  - plane mask
; Outputs:
;   None.
; ----------------------------------------------------------------------
        PUSH    AX
        PUSH    DX
        MOV DX, 03C4h
        MOV AL, 02h
        OUT DX, AX
        POP DX
        POP AX


Any ideas why it doesn't work as I expect?

Solution 1:

Writing the word 0005h to ports 03CEh and 03CFh will select write mode 0. This is a complex mode that involves many features of the VGA but luckily for us most of these are reset when the video mode is set.
However your code still needs to do the following:

  • In order to fill the VGA's internal 32-bit latch, you must perform a read-before-write operation
  • Restricting output to a single or a few pixels is done using the BitMask register.

Next snippet displays a rainbow of 16 vertical lines that are 1 pixel wide:

  xor   di, di
  mov   ax, 0F02h            ; First plane mask is 15
  mov   cx, 8008h            ; First bitmask is 10000000b, Width=1
  mov   dx, 03C4h
  out   dx, ax               ; MapMask register
  xchg  ax, cx
  mov   dx, 03CEh
  out   dx, ax               ; BitMask register
  xchg  ax, cx

  xor   bx, bx
  mov   dl, [es:di+bx]
  mov   byte [es:di+bx], 255
  add   bx, 40
  cmp   bx, 1600              ; Height = 40
  jb    .a

  ror   ch, 1                 ; Width = 1
  adc   di, 0
  dec   ah
  jns   LOOP1

And this snippet displays a rainbow of 16 vertical lines that are 2 pixels wide:

  mov   di, 13
  mov   ax, 0F02h            ; First plane mask is 15
  mov   cx, 0C008h           ; First bitmask is 11000000b, Width=2
  mov   dx, 03C4h
  out   dx, ax               ; MapMask register
  xchg  ax, cx
  mov   dx, 03CEh
  out   dx, ax               ; BitMask register
  xchg  ax, cx

  xor   bx, bx
  mov   dl, [es:di+bx]
  mov   byte [es:di+bx], 255
  add   bx, 40
  cmp   bx, 800               ; Height = 20
  jb    .a

  ror   ch, 2                 ; Width = 2
  adc   di, 0
  dec   ah
  jns   LOOP2

And a third snippet displays a rainbow of 16 vertical lines that are 4 pixels wide:

**The piece is interrupted by data records:**
<<<
Entry 1:
C12H17F4MoN2O7P2 | ωB97M-V with the def2-TZVPD basis set

```
45
Properties=species:S:1:pos:R:3:forces:R:3
Mo 0.118296 0.091128 -0.683822 0.3 1.3 -1.3
C -1.385934 -1.668647 -2.956591 0.0 0.1 0.2
C -2.348617 -1.603521 -1.780109 0.1 -0.1 -0.4
N -1.792006 -0.909295 -0.556343 -0.4 -0.3 -0.2
C -1.947894 -1.803712 0.633211 0.2 -0.2 0.2
C -0.960838 -2.963204 0.608782 -0.1 0.1 0.0
C -2.512717 0.385384 -0.352484 0.2 0.1 0.2
C -1.949659 1.175125 0.840607 0.0 -0.2 -0.1
N -0.503108 0.912129 0.925617 0.2 0.1 0.4
C 0.238676 1.447106 1.990096 0.3 0.3 0.4
C 1.479620 0.877627 2.279955 -0.1 0.0 0.1
F 1.871591 -0.188967 1.568600 0.0 -0.1 -0.2
C 2.296089 1.338287 3.290314 0.0 0.1 0.0
F 3.460721 0.729546 3.494626 0.0 0.0 0.0
C 1.912224 2.402205 4.080234 -0.1 0.0 0.0
C 0.681136 2.972969 3.830626 0.1 -0.2 -0.1
F 0.259588 3.995608 4.563287 0.0 0.1 0.0
C -0.141164 2.511416 2.815984 -0.1 0.0 -0.2
F -1.312073 3.137633 2.635527 0.0 0.0 -0.1
H -1.797428 -2.336459 -3.712560 0.0 0.0 0.0
H -0.412908 -2.072708 -2.665688 0.0 0.0 -0.1
H -1.237136 -0.698194 -3.426694 0.0 0.0 0.0
H -2.625202 -2.615244 -1.493127 0.0 0.0 0.1
H -3.264073 -1.093245 -2.080297 0.0 0.0 0.1
H -2.975626 -2.173582 0.653108 -0.1 0.1 0.0
H -1.778588 -1.218542 1.534801 0.0 0.1 0.0
H -1.147127 -3.650664 -0.215568 0.0 0.0 0.0
H -1.046685 -3.526742 1.536374 0.0 0.0 0.0
H 0.065571 -2.599603 0.533055 0.0 -0.1 0.0
H -3.574314 0.191872 -0.197840 -0.1 0.1 -0.1
H -2.395574 0.968229 -1.276235 -0.1 -0.1 0.0
H -2.444579 0.888626 1.768612 0.1 -0.1 0.1
H -2.143380 2.234043 0.686212 0.0 0.0 0.0
H 2.545882 2.775459 4.872004 0.0 0.0 0.0
O 2.267694 2.682117 -3.012361 0.1 -0.2 -0.1
P 1.847235 1.400264 -2.239607 0.5 0.4 -0.2
O 0.542447 0.757024 -2.710159 -0.6 -0.2 0.7
O 1.656806 1.650227 -0.759357 -0.4 -0.2 0.3
O 3.027400 0.352205 -2.462724 -0.3 -0.2 0.0
P 2.640847 -1.228748 -2.161188 0.2 0.2 -0.3
O 3.951009 -1.759361 -1.497872 0.1 -0.1 0.0
O 2.168189 -1.948196 -3.325267 0.2 -0.1 0.0
O 1.562126 -1.098808 -1.015427 0.1 -0.7 0.8
H 2.800830 2.539582 -3.811468 -0.1 0.1 0.1
H 4.302657 -1.258372 -0.748846 -0.1 0.0 -0.1
```
Forces are in eV/Å.

The spin multiplicity is 3. Its HOMO-LUMO gap (alpha / beta) is 7.130 / 7.804 eV. For the electronic energy, the calculation gives -2254.0674 Ha. The charge is +1.

Results of the natural (NBO) charge analysis, in e, for atoms 1 through 6:
1 Mo 1.75
2 C -0.65
3 C -0.22
4 N -0.46
5 C -0.23
6 C -0.63

---

Entry 2:
C12H17F4NO14P | ωB97M-V with the def2-TZVPD basis set

```
49
Properties=species:S:1:pos:R:3:forces:R:3
O -1.710227 1.764506 2.561584 2.9 -1.0 -1.1
N -0.691261 1.292796 2.024372 -3.2 1.1 0.6
O -1.031387 0.383492 1.084086 0.7 2.3 0.0
P -1.150149 -1.225756 1.754772 -1.4 -3.9 1.4
H -2.307348 -1.465762 0.892300 0.1 0.2 -0.5
H -2.098935 -0.806016 2.788345 0.1 0.6 -0.1
H -0.085917 -1.012514 2.702624 0.5 0.4 0.0
H -0.226689 -1.784117 0.791928 0.2 0.5 -0.3
H -1.332049 -2.583036 2.261419 0.2 0.0 0.1
C -5.757706 -4.204918 0.455579 -1.1 0.3 0.3
C -4.820484 -4.511885 -0.662046 0.0 0.1 -0.2
>>>
**Here the piece continues:**

  mov   di, 26
  mov   ax, 0F02h            ; First plane mask is 15
  mov   cx, 0F008h           ; First bitmask is 11110000b, Width=4
  mov   dx, 03C4h
  out   dx, ax               ; MapMask register
  xchg  ax, cx
  mov   dx, 03CEh
  out   dx, ax               ; BitMask register
  xchg  ax, cx

  xor   bx, bx
  mov   dl, [es:di+bx]
  mov   byte [es:di+bx], 255
  add   bx, 40
  cmp   bx, 400               ; Height = 10
  jb    .a

  ror   ch, 4                 ; Width = 4
  adc   di, 0
  dec   ah
  jns   LOOP3

Precautions were taken so you can try all snippets together in the same program!